Could you set down all of the notes below without altering anything?
'''
The following is a calculated X-ray powder pattern of TmCr2PO8. It was derived from a PBE+U-relaxed structure, using Cu Kα (weighted mean of Kα1 and Kα2).
Kinematic intensities with the Lorentz-polarization factor, no thermal factor.

Main lines, in order of falling intensity (10 to 80 degrees two-theta):
2theta	d (Å)	Rel. int.	hkl
35.36	2.538	100	1 2 0
27.18	3.281	77	1 0 -1
28.58	3.123	70	1 0 1
24.45	3.641	57	1 1 0
53.51	1.712	50	2 2 -1
55.13	1.666	42	2 2 1
14.44	6.133	33	0 1 0
19.62	4.524	28	1 0 0
69.45	1.353	27	0 2 3
39.85	2.262	23	0 0 2

Atomic structure:
Unit cell a=4.528 b=6.133 c=4.531 alpha=90.00 beta=92.83 gamma=90.00
Space group P2/m (No. 10)
Symmetry-distinct sites (fractional):
Tm (0.000, 0.000, 0.000) [1 per cell]
Cr (0.500, 0.259, 0.500) [2 per cell]
P (0.000, 0.500, 0.000) [1 per cell]
O (0.186, 0.302, 0.185) [4 per cell]
O (0.282, 0.500, 0.717) [2 per cell]
O (0.324, 0.000, 0.674) [2 per cell]
'''
The following is a calculated X-ray powder pattern of TmCr2PO8. It was derived from a PBE+U-relaxed structure, using Cu Kα (weighted mean of Kα1 and Kα2).
Kinematic intensities with the Lorentz-polarization factor, no thermal factor.

Main lines, in order of falling intensity (10 to 80 degrees two-theta):
2theta	d (Å)	Rel. int.	hkl
35.36	2.538	100	1 2 0
27.18	3.281	77	1 0 -1
28.58	3.123	70	1 0 1
24.45	3.641	57	1 1 0
53.51	1.712	50	2 2 -1
55.13	1.666	42	2 2 1
14.44	6.133	33	0 1 0
19.62	4.524	28	1 0 0
69.45	1.353	27	0 2 3
39.85	2.262	23	0 0 2

Atomic structure:
Unit cell a=4.528 b=6.133 c=4.531 alpha=90.00 beta=92.83 gamma=90.00
Space group P2/m (No. 10)
Symmetry-distinct sites (fractional):
Tm (0.000, 0.000, 0.000) [1 per cell]
Cr (0.500, 0.259, 0.500) [2 per cell]
P (0.000, 0.500, 0.000) [1 per cell]
O (0.186, 0.302, 0.185) [4 per cell]
O (0.282, 0.500, 0.717) [2 per cell]
O (0.324, 0.000, 0.674) [2 per cell]